Catholic Journal

_Calculated crystals, as found in the file_
+++
1.
Compound: Ca2PtAu3
Source: the Alexandria database
Functional: PBE-GGA
Structure: optimized geometry

Output
The crystal system is orthorhombic. Its symmetry is No. 25. The formation energy comes out at -680 meV/atom. As for the calculated total energy: -3.9931 eV/atom.

```
Ca2PtAu3
1.0
-0.871 -2.630 2.315
3.554 -2.410 -1.400
4.771 3.610 5.897
Au Pt Ca
3 1 2
Direct
0.500 0.500 0.656 Au
0.500 0.000 0.840 Au
0.500 0.000 0.164 Au
0.500 0.500 0.339 Pt
0.000 0.500 0.019 Ca
0.000 0.000 0.482 Ca
```


2.
Compound: Ca3PtAu3
Source: the Alexandria database
Functional: PBE-GGA
Structure: optimized geometry

Output
The crystal system is monoclinic. Its symmetry is No. 12. The formation energy comes out at -777 meV/atom. As for the calculated total energy: -3.9028 eV/atom.

```
Ca3PtAu3
1.0
-1.411 0.048 -3.884
3.221 -3.379 -3.410
-8.876 -12.462 0.874
Pt Ca Au
2 6 6
Direct
0.780 0.070 0.369 Pt
0.220 0.930 0.631 Pt
0.262 0.236 0.239 Ca
0.476 0.661 0.388 Ca
0.738 0.764 0.761 Ca
0.524 0.339 0.612 Ca
0.392 0.293 0.923 Ca
0.608 0.707 0.077 Ca
0.863 0.739 0.535 Au
0.114 0.848 0.925 Au
0.886 0.152 0.075 Au
0.011 0.204 0.774 Au
0.989 0.796 0.226 Au
0.137 0.261 0.465 Au
```


3.
Compound: Ca8Pt5Au
Source: the Alexandria database
Functional: PBE-GGA
Structure: optimized geometry

Output
The crystal system is tetragonal. Its symmetry is No. 82. The formation energy comes out at -811 meV/atom. As for the calculated total energy: -4.3463 eV/atom.

```
Ca8Pt5Au
1.0
-0.512 6.498 4.009
-3.044 1.050 -6.942
-3.802 -5.563 3.628
Pt Ca Au
5 8 1
Direct
0.008 0.377 0.128 Pt
0.500 0.000 0.500 Pt
0.751 0.623 0.631 Pt
0.872 0.880 0.249 Pt
0.369 0.120 0.992 Pt
0.755 0.246 0.367 Ca
0.267 0.245 0.369 Ca
0.121 0.754 0.508 Ca
0.124 0.755 0.022 Ca
0.633 0.388 0.879 Ca
0.631 0.898 0.876 Ca
0.978 0.102 0.733 Ca
0.492 0.612 0.245 Ca
0.250 0.500 0.750 Au
```


4.
Compound: CaPuPtAu
Source: the Alexandria database
Functional: PBE-GGA
Structure: optimized geometry

Output
The crystal system is orthorhombic. Its symmetry is No. 38. The formation energy comes out at -743 meV/atom. The calculation puts the polymorph energy (0 for the lowest one) at 0 kJ/mol of formula units. As for the calculated total energy: -7.1557 eV/atom.

```
CaPuPtAu
1.0
3.910 0.000 0.000
0.000 4.352 0.000
-1.955 0.000 5.650
Pt Au Ca Pu
1 1 1 1
Direct
0.408 0.000 0.816 Pt
0.584 0.500 0.169 Au
0.143 0.000 0.287 Ca
0.864 0.500 0.729 Pu
```


5.
Compound: CaPuPtAu
Source: the Alexandria database
Functional: PBE-GGA
Structure: optimized geometry

Output
The crystal system is cubic. Its symmetry is No. 216. The formation energy comes out at -662 meV/atom. The calculation puts the polymorph energy (0 for the lowest one) at 31 kJ/mol of formula units. As for the calculated total energy: -7.0752 eV/atom.

```
CaPuPtAu
1.0
-2.357 3.418 -2.880
-5.048 0.076 -0.210
-2.562 3.785 2.155
Pu Ca Pt Au
1 1 1 1
Direct
0.500 0.500 0.500 Pu
0.000 0.000 0.000 Ca
0.250 0.250 0.250 Pt
0.750 0.750 0.750 Au
```


6.
Compound: Ca2Sb3Pt4Au
+++
_End of the calculated crystals_

Forgiving Student Loans?

Americans today tend to live like their government. Mortgaged houses, leased cars, heavy credit card debt and student loans to finish college. Two thirds of all students graduating today have some level of debt. While the numbers are always changing, the average is around $26,600. In total, however, student debt has reached a new milestone. It has just crossed the $1.2 trillion dollar mark.

The majority of student loans are backed by the U.S. government through banks like Sallie Mae, or since 2010, by the Department of Education. The creditor in this scenario is the U.S. taxpayer, who, if students default on these loans, will be subject to carry the burden of these loans.

If you are under the impression that only four-year schools are subject to debt, think again. Of those students completing an associate’s degree from a community college, 38% graduate with debt. One community college, Henry Ford Community College in Dearborn, Michigan is offering a one-time amnesty program that will allow students who owe a balance, the opportunity to return to college. The program offers students the opportunity to pay 50% of what is owed on their account to settle their debt with the college.

The cost of the debt does not tell the full story as the $1.2 trillion dollars does not include funds students must divert away from retirement savings, parent borrowing, or credit card debt. So what does 3.8% interest translate to for students? If we go back to that $26,600, compounding for interest year over year using the 10 year payback plan that is standard, the total cost of your $26,600 loan is about $38,600. Break that down by monthly payments and you are looking at about $320 per month. This debt costs time in savings, pushes back when you can buy a home, start a family, open a small business or access capital.

____________
Record 1
A plane-wave DFT calculation with PBE-GGA was carried out for a relaxed structure of Li3NiRh3.

DOS at the Fermi energy: 1.05 states/eV per atom
ΔE_f: 0.080 eV/atom
Total magnetization: 0.0 μB per formula unit

The structure in CIF format:
```
data_Li3NiRh3
_space_group_name_H-M_alt 'R 3 m'
_space_group_IT_number 160
_space_group_name_Hall 'R 3 -2"'
_cell_length_a 7.2181
_cell_length_b 7.2181
_cell_length_c 6.1675
_cell_angle_alpha 90.00
_cell_angle_beta 90.00
_cell_angle_gamma 120.00
loop_
_atom_site_label
_atom_site_type_symbol
_atom_site_fract_x
_atom_site_fract_y
_atom_site_fract_z
Li1 Li 0.1013 0.5506 0.0000
Ni1 Ni 0.0000 0.0000 0.0270
Rh1 Rh 0.0584 0.5292 0.4108
```

Record 2
A plane-wave DFT calculation with PBE-GGA was carried out for a relaxed structure of CoTe2As.

DOS at the Fermi energy: 0.64 states/eV per atom
Total magnetization: 0.0 μB per formula unit
Energy relative to the elements, uncorrected: -18 meV per atom

The structure in CIF format:
```
data_CoTe2As
_space_group_name_H-M_alt 'A m m 2'
_space_group_IT_number 38
_space_group_name_Hall 'A 2 -2'
_cell_length_a 3.691
_cell_length_b 5.101
_cell_length_c 9.179
_cell_angle_alpha 90.00
_cell_angle_beta 90.00
_cell_angle_gamma 90.00
loop_
_atom_site_label
_atom_site_type_symbol
_atom_site_fract_x
_atom_site_fract_y
_atom_site_fract_z
Co1 Co 0.000 0.000 0.000
Te1 Te 0.000 0.000 0.507
Te2 Te 0.500 0.000 0.195
As1 As 0.500 0.000 0.837
```

Record 3
A plane-wave DFT calculation with PBE-GGA was carried out for a relaxed structure of TiH2Ir2.

DOS at the Fermi energy: 0.23 states/eV per atom
Total magnetization: 0.0 μB per formula unit
ΔE to the lowest computed polymorph: 0 meV per atom

The structure in CIF format:
```
data_TiH2Ir2
_space_group_name_H-M_alt 'I 4/m m m'
_space_group_IT_number 139
_space_group_name_Hall '-I 4 2'
_cell_length_a 3.975
_cell_length_b 3.975
_cell_length_c 7.014
_cell_angle_alpha 90.00
_cell_angle_beta 90.00
_cell_angle_gamma 90.00
loop_
_atom_site_label
_atom_site_type_symbol
_atom_site_fract_x
_atom_site_fract_y
_atom_site_fract_z
Ti1 Ti 0.000 0.000 0.000
H1 H 0.000 0.000 0.295
Ir1 Ir 0.000 0.500 0.250
```
____________
**End of the calculated crystals:**

While many have been calling for debt forgiveness, others have a problem with burdening the taxpayer with the responsibility to pay back loans that they are neither responsible for, nor benefit directly from. One of the problems of debt forgiveness is that it sets a precedent that similar loans in the future will also be forgiven. As the expectation of repayment obligation falls, borrowers may enter into a situation where they take on higher levels of debt and take more risks.

Multiple government programs help borrowers get some or all of their student loan debt forgiven. The Department of Education’s Public Service Loan Forgiveness Program covers those who work at least 30 hours a week for a public service organization; teachers who first took our Direct Loans can also take advantage of the Teacher Loan Forgiveness Program. Under this program, once you have taught for five years in certain schools or educational service agencies that serve low income families, you can get up to $17,500 in loans forgiven. Perkins Loan borrowers are eligible for several forgiveness and cancellation opportunities. Many educators in elementary and secondary schools, firefighters, law enforcement officials, nurses and active duty military personnel in hostile fire areas qualify to have as much as 100% of their Perkins Loan balances cancelled under certain conditions.

Someone pasted crystal structures at this point =
This record from Alexandria describes a relaxed LiCdCu2H crystal. The functional is PBE-GGA.

abc: 3.826 3.826 4.067
angles: 90.00 90.00 90.00
Positions (direct):
Li (0.000, 0.000, 0.000)
Cd (0.500, 0.500, 0.000)
Cu (0.000, 0.500, 0.500)
Cu (0.500, 0.000, 0.500)
H (0.000, 0.000, 0.500)

Summary:
The space group is P4/mmm, No. 123.



This record from Alexandria describes a relaxed Li2CdCuH crystal. The functional is PBE-GGA.

abc: 3.894 3.894 4.330
angles: 90.00 90.00 90.00
Positions (direct):
Li (0.000, 0.500, 0.000)
Li (0.500, 0.000, 0.000)
Cd (0.000, 0.000, 0.500)
Cu (0.500, 0.500, 0.500)
H (0.000, 0.000, 0.000)

Summary:
The excess energy over the best structure of this formula in the dataset is 94 meV/atom. The space group is P4/mmm, No. 123.



This record from Alexandria describes a relaxed Li2CdCuH crystal. The functional is PBE-GGA.

abc: 4.235 4.235 3.528
angles: 90.00 90.00 90.00
Positions (direct):
Li (0.000, 0.500, 0.000)
Li (0.500, 0.000, 0.000)
Cd (0.000, 0.000, 0.500)
Cu (0.500, 0.500, 0.500)
H (0.500, 0.500, 0.000)

Summary:
The excess energy over the best structure of this formula in the dataset is 0 meV/atom. The space group is P4/mmm, No. 123.



This record from Alexandria describes a relaxed MgCdCu2H crystal. The functional is PBE-GGA.

abc: 3.971 3.971 4.152
angles: 90.00 90.00 90.00
Positions (direct):
Mg (0.000, 0.000, 0.000)
Cd (0.500, 0.500, 0.000)
Cu (0.000, 0.500, 0.500)
Cu (0.500, 0.000, 0.500)
H (0.000, 0.000, 0.500)

Summary:
The space group is P4/mmm, No. 123.



| no. | calculated total energy (eV/atom) | D(E_F) (states/eV per atom) |
| --- | --- | --- |
| 1 | -2.896 | 0.23 |
| 2 | -2.486 | 0.28 |
| 3 | -2.580 | 0.23 |
| 4 | -2.727 | 0.23 |

* * * * *

Entry 1:
Below is a geometry-optimized MnPbCl2 structure, with properties calculated at the PBE-GGA level.

The structure in POSCAR format:
```
MnPbCl2
1.0
-2.070 2.070 5.882
2.070 -2.070 5.882
2.070 2.070 -5.882
Mn Pb Cl
1 1 2
Direct
0.000 0.000 0.000 Mn
0.250 0.750 0.500 Pb
0.500 0.500 0.000 Cl
0.750 0.250 0.500 Cl
```

Calculated values
Final energy (eV/atom): -4.256
Total moment (Bohr magnetons per cell): 4.584
SG: I-4m2
Energy relative to the lowest polymorph listed for this composition (meV per atom): 547.7


Entry 2:
Below is a geometry-optimized Mn2PbCl structure, with properties calculated at the PBE-GGA level.

The structure in POSCAR format:
```
Mn2PbCl
1.0
1.704 0.984 8.080
-1.704 0.984 8.080
0.000 -1.967 8.080
Mn Pb Cl
2 1 1
Direct
0.243 0.243 0.243 Mn
0.757 0.757 0.757 Mn
0.000 0.000 0.000 Pb
0.500 0.500 0.500 Cl
```

Calculated values
Final energy (eV/atom): -5.746
Total moment (Bohr magnetons per cell): 8.246
SG: R-3m
Energy relative to the lowest polymorph listed for this composition (meV per atom): 184.8


Entry 3:
Below is a geometry-optimized MnPbCl2 structure, with properties calculated at the PBE-GGA level.

The structure in POSCAR format:
```
MnPbCl2
1.0
1.871 1.080 8.560
-1.871 1.080 8.560
0.000 -2.160 8.560
Mn Pb Cl
1 1 2
Direct
The page goes on =

The problem is, however, growing. Student loan debt is the fastest growing consumer debt and a lot of it is not getting paid back. About 11.5% of student loan balances are 90+ days delinquent. The debt is increasing due to both new loans being taken out and by charges accruing from old loans. About 36,000 Americans lost a portion of their Social Security check in 2013 due to unpaid federal student loans.

There appears to be no easy solution. Allowing the private equity market to have students refinance their balances at lower rates is one suggested fix, but this would have to be based upon their earnings potential and other underwriting considerations. However, this refinancing option is offset by the rising cost of a college degree. Many educators are concerned about the ballooning tuition costs. The skyrocketing cost of higher education is at the core of the problem. This cost creates financially crippling loans that create a perpetual debt cycle for the college graduate. Loan forgiveness becomes less and less of an option as the cost of this forgiveness becomes a staggering burden to the taxpayer.

Donald Wittmer

DONALD WITTMER was a retired business executive who held key roles in the automotive and banking sectors. For a time, he also served as Fiscal Agency Manager for the Detroit branch of the Federal Reserve Bank of Chicago. He received his undergraduate degree from Cincinnati's Xavier University, an M.A. in business management from Central Michigan University, and earned certification in bank operations from the School of Banking at the University of Wisconsin-Madison. A devout Catholic and family man, Mr. Wittmer passed into eternity on September 16, 2021. May God rest his soul.